A Design System Inspired by Nature

A holistic design process, borrowed from Permaculture.

Robin van Wijk
5 min readJan 19, 2021

I’m not an expert on Permaculture, so this article is not going into that. This post is about how I’ve adapted their disciplines, from the Design Web, into my own ways of working as a Designer.

It’s easy to get lost in collecting helpful information and tools. It feels like you can just keep accumulating more and more, losing yourself in all the helpful information. For me, it all fell into place with this all-encompassing structure.

If you are more of a doer, rather than reader, here’s a free introduction exercise (takes about 30 minutes).

The Design Web

The Web consists of 12 disciplines, initially used for farming and designing gardens, yet this is applicable to any design process. It doesn’t really matter in what order, since you can freely move around them and use them however works for you. In this article I’m holding on to this order:

1.Vision, 2.Helps, 3.Limits, 4.Patterns, 5.Ideas, 6.Principles, 7.Momentum 8.Action, 9.Integration, 10.Reflection, 11.Gratitude & 12.Pause.

1. Vision

Allow yourself to dream & create goals in life. Consider your own life as your project and your idea to be you. Create a clear vision.

Why? To figure out what you stand for, what guides you.
How? Start with what you love to do & where you would like to be.

2. Helps

_Someone pasted data records at this point_
~~~
The following is a DFT calculation (ωB97M-V/def2-TZVPD) of a structure of composition C42H48BN10PbS2 in a non-equilibrium geometry.

Geometry as XYZ:
```
104
Properties=species:S:1:pos:R:3
Pb 1.4275 0.1087 0.9759
C 1.1769 1.1587 -2.6284
C 0.0847 1.6759 -1.7490
C -0.8842 2.6372 -2.0443
C -1.6091 2.8152 -0.8693
C -2.7326 3.7640 -0.6257
N -1.1003 1.9771 0.0492
N -0.0673 1.2797 -0.4821
B -1.5013 1.8214 1.5440
N -0.3514 2.3879 2.4019
N 0.9330 1.9727 2.2130
C 1.7311 2.7299 2.9736
C 3.2133 2.5777 2.9743
C 0.9471 3.6420 3.6772
C -0.3639 3.3996 3.2900
C -1.6000 4.0939 3.7424
N -1.6747 0.3142 1.8648
N -0.6545 -0.5718 1.7249
C -1.0958 -1.7781 2.1067
C -0.2339 -2.9941 2.0748
C -2.4291 -1.6655 2.4985
C -2.7601 -0.3256 2.3387
C -4.0601 0.3311 2.6500
H 0.9459 1.3557 -3.6747
H 1.3522 0.0918 -2.4894
H 2.1122 1.6742 -2.4021
H -1.0041 3.1760 -2.9704
H -2.9439 4.3285 -1.5307
H -2.4716 4.4655 0.1665
H -3.6468 3.2536 -0.3183
H -2.5147 2.3995 1.7463
H 3.5309 1.7697 2.3131
H 3.5786 2.3751 3.9807
H 3.6808 3.5020 2.6352
H 1.2911 4.3903 4.3702
H -1.3470 4.8506 4.4795
H -2.2958 3.3866 4.1947
H -2.1105 4.5826 2.9120
H 0.7803 -2.7540 1.7524
H -0.6592 -3.7371 1.3972
H -0.1836 -3.4481 3.0638
H -3.0526 -2.4532 2.8867
H -4.8045 -0.4274 2.8799
H -4.4163 0.9397 1.8190
H -3.9620 0.9850 3.5173
N 4.4389 -1.6205 1.5903
C 4.7645 -1.0389 2.7928
C 6.0782 -0.7476 3.1222
C 6.4230 -0.3000 4.4013
C 5.4684 -0.1685 5.3773
C 4.1152 -0.4105 5.0673
C 3.0933 -0.3332 6.0369
C 1.7908 -0.5309 5.6616
C 1.5088 -0.7284 4.3042
N 2.4341 -0.8492 3.3692
C 3.7383 -0.7574 3.7432
H 3.5515 -2.0816 1.5179
H 5.1873 -1.9958 1.0360
H 6.8502 -0.9005 2.3779
H 7.4590 -0.0921 4.6303
H 5.7366 0.1185 6.3850
H 3.3555 -0.1226 7.0658
H 0.9924 -0.5209 6.3897
H 0.4774 -0.7977 3.9810
S -2.1128 -1.3793 -0.9607
C -1.7354 -1.2372 -2.6024
N -2.3261 -0.5198 -3.4934
C -1.8223 -0.5499 -4.8706
C -1.1418 -1.8787 -5.1819
N -0.2214 -2.3028 -4.1091
C 0.9944 -3.0672 -4.4344
C 2.1395 -2.1203 -4.7297
C 2.2475 -1.5031 -5.9727
C 3.2820 -0.6146 -6.2226
C 4.2255 -0.3503 -5.2391
C 4.1196 -0.9633 -3.9988
C 3.0729 -1.8345 -3.7385
C -0.5679 -2.0310 -2.8920
S 0.0964 -2.4858 -1.3981
C -3.4024 0.3509 -3.0420
C -4.3465 -0.4841 -2.2120
C -4.5566 -0.1954 -0.8549
C -5.4582 -0.9547 -0.1161
C -6.1239 -2.0091 -0.7136
C -5.9041 -2.3121 -2.0619
C -5.0276 -1.5481 -2.8069
H -1.1328 0.2880 -5.0124
H -2.6580 -0.4126 -5.5553
H -0.5816 -1.7805 -6.1074
H -1.8829 -2.6712 -5.3223
H 0.7823 -3.7057 -5.2916
H 1.2432 -3.6922 -3.5741
H 1.5503 -1.7379 -6.7690
H 3.3546 -0.1352 -7.1894
H 5.0427 0.3272 -5.4453
H 4.8607 -0.7627 -3.2364
H 2.9977 -2.3192 -2.7701
H -3.8956 0.8034 -3.9014
H -2.9623 1.1476 -2.4330
H -4.0488 0.6511 -0.4041
H -5.6653 -0.7015 0.9147
H -6.8346 -2.5937 -0.1454
H -6.4379 -3.1300 -2.5265
H -4.8802 -1.7646 -3.8592
```

Values from the calculation:
2S+1: 1
Charge: +3
HOMO in eV: -13.60
LUMO level in eV: -10.807
Frontier orbital gap in Eh: 0.1027
ΔE to the lowest compared entry with this formula, charge and spin in kcal per mole: 12.7

=====

#A
~~~

Making sure you have the right support & tools for the job. Identify the things that are going to help you get there.

Why? There’s no reason to be alone. Ask, or look for help.
How? Identify resources, mentors & your team.

3. Limits

What might block your path towards where you want to go. What is your core challenge? Keep it small & manageable.

Why? Figure out what works & what doesn’t. Set priorities.
How? What isn’t working at the moment? Find out how to get past this.

4. Patterns

The helpful & unhelpful patterns in thinking & behaving. Use the positive routines, discard the negative ones.

Why? Routines help you keep moving & keep momentum.
How? Create habits, build a routine that works for you.

5. Ideas

Gather inspiration, fields to explore & note down seeds of ideas you have. Prioritize the ideas(s) to work on.

Why? Ideate what you could do, experiment with, or explore.
How? Brainstorm, prioritize & decision make.

6. Principles

Ethics you use in work & life. Look through the lens of each one to see different angles. Create a repeatable system for yourself.

Why? Find out what works for you, what’s close to yourself.
How? What values do you hold high? Discover your “Why”.

7. Momentum

Build & increase motivation. Create reminders for yourself. Make sure you keep you going, any progress towards your goal is progress.

Why? Do the best you can do at the moment & don’t overcomplicate things.
How? Create accountability & get feedback. Collect responses & keep moving forward.

8. Action

What you do now & your next steps. A plan for getting things done with daily, weekly & monthly actions to take.

Why? Working for maximum impact with little effort.
How? Turn big challenges into small steps towards your goal.

9. Integration

Bring it all together into a workable & actionable system to implement into your life. Keep improving it to fit.

Why? Things can be fulfilled in your everyday life.
How? Conclude all the learnings to move forward & iterate with improvements you’ve learned.

10. Reflection

Reflect on your journey. Evaluate the progress so far & plan the future. What is going well & what is challenging.

Why? Keep track of what you do & where you are. Don’t lose yourself in it.
How? Keep a journal, or notes. Schedule regular check-ins.

11. Gratitude

Work to appreciate yourself & others. Focus on what to be thankful for, daily. Celebrate the wins, even the small ones.

Why? Allow yourself to be able do it & get yourself through.
How? Keep affirmations to remind you of the work you’re doing.

12. Pause

Knowing when to take breaks & make sure to keep breathing. Incorporate times of rest & rejuvenation to be able to come back with a fresh look on things.

Why? Time to be away from work & responsibilities for thoughts to process.
How? Breath, exercise, meditate, take walks. Whatever you need to do to get your mind off things for a bit and help regain perspective.

Great! What do I do with it?

Use them as a handbook to design your work, or life. It helps to have structure, even if it’s flexible, it allows you to be as creative as you can be. Use it to create any project, personalize it to your needs, level & time, while always maintaining the complete picture.

Let me know if you need any help, or could use somebody to mentor you through them.

Thanks for reading!



Robin van Wijk

Working with, learning and teaching new ways of working